### What to do
It remains to restate every line further below that contains the word "As1".

### Data
- - -
# 1
# Pm3AsPb | Alexandria | GGA-PBE | relaxed
# formation enthalpy at 0 K: -13.6 kcal/mol of atoms
# polymorph energy (0 for the lowest one): 272 meV per atom
# SG: Pm-3m
data_Pm3AsPb
_chemical_formula_sum 'Pm3 As1 Pb1'
_space_group_name_H-M_alt 'P 1'
_space_group_IT_number 1
_cell_length_a 5.5387
_cell_length_b 5.5387
_cell_length_c 5.5387
_cell_angle_alpha 90.00
_cell_angle_beta 90.00
_cell_angle_gamma 90.00
loop_
_space_group_symop_operation_xyz
'x,y,z'
loop_
_atom_site_label
_atom_site_type_symbol
_atom_site_fract_x
_atom_site_fract_y
_atom_site_fract_z
Pm1 Pm 0.0000 0.0000 0.5000
Pm2 Pm 0.0000 0.5000 0.0000
Pm3 Pm 0.5000 0.0000 0.0000
As1 As 0.0000 0.0000 0.0000
Pb1 Pb 0.5000 0.5000 0.5000

---

# 2
# Pm8AsPb5 | Alexandria | GGA-PBE | relaxed
# formation enthalpy at 0 K: -15.7 kcal/mol of atoms
# SG: I-4
data_Pm8AsPb5
_chemical_formula_sum 'Pm8 As1 Pb5'
_space_group_name_H-M_alt 'P 1'
_space_group_IT_number 1
_cell_length_a 8.2593
_cell_length_b 8.2593
_cell_length_c 8.2593
_cell_angle_alpha 109.72
_cell_angle_beta 109.72
_cell_angle_gamma 108.98
loop_
_space_group_symop_operation_xyz
'x,y,z'
loop_
_atom_site_label
_atom_site_type_symbol
_atom_site_fract_x
_atom_site_fract_y
_atom_site_fract_z
Pm1 Pm 0.1085 0.2342 0.7371
Pm2 Pm 0.1225 0.7300 0.7483
Pm3 Pm 0.2700 0.0183 0.3924
Pm4 Pm 0.4970 0.3713 0.2629
Pm5 Pm 0.6259 0.8775 0.6076
Pm6 Pm 0.6287 0.8915 0.1257
Pm7 Pm 0.7658 0.5030 0.8743
Pm8 Pm 0.9817 0.3741 0.2517
As1 As 0.7500 0.2500 0.5000
Pb1 Pb 0.0000 0.0000 0.0000
Pb2 Pb 0.2518 0.6217 0.1265
Pb3 Pb 0.3783 0.5048 0.6301
Pb4 Pb 0.4952 0.1253 0.8735
Pb5 Pb 0.8747 0.7482 0.3699

---

# 3
# PmAs2Pt7Pb2 | Alexandria | GGA-PBE | relaxed
# formation enthalpy at 0 K: -11.8 kcal/mol of atoms
# SG: C2/m
data_PmAs2Pt7Pb2
_chemical_formula_sum 'Pm1 As2 Pt7 Pb2'
_space_group_name_H-M_alt 'P 1'
_space_group_IT_number 1
_cell_length_a 4.0362
_cell_length_b 4.0362
_cell_length_c 15.9261
_cell_angle_alpha 97.24
_cell_angle_beta 97.24
_cell_angle_gamma 90.01
loop_
_space_group_symop_operation_xyz
'x,y,z'
loop_
_atom_site_label
_atom_site_type_symbol
_atom_site_fract_x
_atom_site_fract_y
_atom_site_fract_z
Pm1 Pm 0.0000 0.0000 0.0000
As1 As 0.3829 0.3829 0.7645
As2 As 0.6171 0.6171 0.2355
Pt1 Pt 0.0702 0.5699 0.1420
Pt2 Pt 0.3037 0.3037 0.6094
Pt3 Pt 0.4301 0.9298 0.8580
Pt4 Pt 0.5000 0.5000 0.0000
Pt5 Pt 0.5699 0.0702 0.1420
Pt6 Pt 0.6963 0.6963 0.3906
Pt7 Pt 0.9298 0.4301 0.8580
Pb1 Pb 0.2123 0.2123 0.4245
Pb2 Pb 0.7877 0.7877 0.5755

---

# 4
# PmAsPtPb | Alexandria | GGA-PBE | relaxed
# formation enthalpy at 0 K: -12.8 kcal/mol of atoms
# SG: F-43m
data_PmAsPtPb
_chemical_formula_sum 'Pm1 As1 Pt1 Pb1'
_space_group_name_H-M_alt 'P 1'
_space_group_IT_number 1
_cell_length_a 5.0992
_cell_length_b 5.0992
_cell_length_c 5.0992
_cell_angle_alpha 60.00
_cell_angle_beta 60.00
_cell_angle_gamma 60.00
loop_
_space_group_symop_operation_xyz
'x,y,z'
loop_
_atom_site_label
_atom_site_type_symbol
_atom_site_fract_x
_atom_site_fract_y
_atom_site_fract_z
Pm1 Pm 0.0000 0.0000 0.0000
As1 As 0.2500 0.2500 0.2500
Pt1 Pt 0.7500 0.7500 0.7500
Pb1 Pb 0.5000 0.5000 0.5000

---

# 5
# PmAs2Rh7Pb2 | Alexandria | GGA-PBE | relaxed
# formation enthalpy at 0 K: -5.2 kcal/mol of atoms
# SG: C2/m
data_PmAs2Rh7Pb2
_chemical_formula_sum 'Pm1 As2 Rh7 Pb2'
_space_group_name_H-M_alt 'P 1'
_space_group_IT_number 1
_cell_length_a 4.0324
_cell_length_b 4.0324
_cell_length_c 14.1157
_cell_angle_alpha 94.88
_cell_angle_beta 94.88
_cell_angle_gamma 89.62
loop_
_space_group_symop_operation_xyz
'x,y,z'
loop_
_atom_site_label
_atom_site_type_symbol
_atom_site_fract_x
_atom_site_fract_y
_atom_site_fract_z
Pm1 Pm 0.0000 0.0000 0.0000
As1 As 0.4264 0.4264 0.7505
As2 As 0.5736 0.5736 0.2495
Rh1 Rh 0.0453 0.5446 0.1551
Rh2 Rh 0.3806 0.3806 0.5770
Rh3 Rh 0.4554 0.9547 0.8449
Rh4 Rh 0.5000 0.5000 0.0000
Rh5 Rh 0.5446 0.0453 0.1551
Rh6 Rh 0.6194 0.6194 0.4230
Rh7 Rh 0.9547 0.4554 0.8449
Pb1 Pb 0.1063 0.1063 0.3892
Pb2 Pb 0.8937 0.8937 0.6108

---

# 6
- - -

### Completed
_chemical_formula_sum 'Pm3 As1 Pb1'
As1 As 0.0000 0.0000 0.0000
_chemical_formula_sum 'Pm8 As1 Pb5'
As1 As 0.7500 0.2500 0.5000
As1 As 0.3829 0.3829 0.7645
_chemical_formula_sum 'Pm1 As1 Pt1 Pb1'
As1 As 0.2500 0.2500 0.2500
As1 As 0.4264 0.4264 0.7505